
Tuesday, March 16, 2010

CrossTalk: Seeing God

It is certainly true to say that Jesus is God. But there something even more beautiful to be said: God is Jesus. To say this is to see God in the fullness of His glory.

The statement: Jesus is God, immediately brings us to ask: who is God? Here our minds spin off into a thousand directions offering all kinds of theories about who God is and what He is like. Then, each of these different answers are simply imported into our picture of Jesus.

Not surprisingly, we construct in our minds a “Jesus” who is exactly like the “God” that we imagined before we ever knew of Jesus. From this direction, Jesus forever remains in second place and irrelevant to our real understanding of God. That’s a big mistake.

Jesus Himself wants us to turn this thinking completely on its head. “He that has seen Me (Jesus says) has seen the Father” (John 14:9). The Bible teaches that Jesus “is the express image of His (the Father’s) Person” (Hebrews 1:3). If we want to know anything at all about God, we must fix our eyes on Jesus—His words, His works, His personality.

When we take our eyes off of Jesus and seek to know something about God before—or beside—or in addition to Jesus, our view of God will be confused and off the mark. Imagining a God apart from Jesus, we can easily accuse God of being unjust or evil when He warns us against death and hell as He so often does in the Bible. And thinking of God in such terms makes it impossible to put our trust in Him or in His gracious Words.

-- Misplaced records of crystals --
+++
Material: MnPbCl2
Method: DFT, meta-GGA SCAN
State: single point on PBEsol structure

```
4
Lattice="5.3982 -1.6863 0.0000 5.3982 1.6863 0.0000 -2.2934 0.0000 4.9393" Properties=species:S:1:pos:R:3 pbc="T T T"
Mn 0.0000 0.0000 0.0000
Pb 1.7107 0.0000 2.7235
Cl 4.1517 0.0000 1.2523
Cl 4.7839 0.0000 4.4953
```

Uncorrected formation energy ... -0.821 eV/atom

Material: MnPbCl2
Method: DFT, meta-GGA SCAN
State: single point on PBEsol structure

```
4
Lattice="1.8099 1.0449 8.2271 -1.8099 1.0449 8.2271 0.0000 -2.0898 8.2271" Properties=species:S:1:pos:R:3 pbc="T T T"
Mn 0.0000 0.0000 0.0000
Pb 0.0000 0.0000 6.1901
Cl 0.0000 0.0000 12.4428
Cl 0.0000 0.0000 17.6754
```

Uncorrected formation energy ... -0.684 eV/atom

Material: MnPd3Cl
Method: DFT, meta-GGA SCAN
State: single point on PBEsol structure

```
5
Lattice="4.4457 0.0000 0.0000 0.0000 4.4457 0.0000 0.0000 0.0000 4.4457" Properties=species:S:1:pos:R:3 pbc="T T T"
Mn 0.0000 0.0000 0.0000
Pd 0.0000 2.2229 2.2229
Pd 2.2229 0.0000 2.2229
Pd 2.2229 2.2229 0.0000
Cl 2.2229 2.2229 2.2229
```

Uncorrected formation energy ... 0.377 eV/atom

For the records above, the corresponding relative energy among the computed polymorphs values read 0; 137; 0 meV/atom.
For the records above, the corresponding raw total energy values read -28.32; -28.18; -24.53 eV per atom.
For the records above, the corresponding N(E_F) values read 1.392; 1.581; 2.394 states/eV/cell.

* * * * *

[1]
Entry from Alexandria via LeMat-Bulk: an optimized crystal structure of LaP2Pt (PBE-GGA).

It has space group P4/mmm (No. 123), with a = 3.5014 Å, b = 3.5014 Å, c = 6.2732 Å, α = 90.00°, β = 90.00° and γ = 90.00°. Symmetry generates all atoms from La at (0.0000, 0.0000, 0.0000), P at (0.5000, 0.5000, 0.3264) and Pt at (0.0000, 0.0000, 0.5000).

The calculation puts the formation energy at -1.4 eV/f.u. The value obtained for the density of states at the Fermi level is 3.02 states/eV per cell. The total energy comes out at -5.7905 eV/atom. The total magnetic moment comes out at 0.0 μB/cell. The calculation puts the volume at 19.227 A^3/atom.

***

[2]
Entry from Alexandria via LeMat-Bulk: an optimized crystal structure of TaZn2Ru (PBE-GGA).

It has space group Pmmm (No. 47), with a = 2.8482 Å, b = 4.0307 Å, c = 5.2599 Å, α = 90.00°, β = 90.00° and γ = 90.00°. Symmetry generates all atoms from Ta at (0.0000, 0.0000, 0.0000), Zn at (0.5000, 0.5000, 0.2631) and Ru at (0.0000, 0.0000, 0.5000).

The calculation puts the formation energy at 0.1 eV/f.u. The value obtained for the density of states at the Fermi level is 2.81 states/eV per cell. The total energy comes out at -5.8954 eV/atom. The total magnetic moment comes out at 0.0 μB/cell. The calculation puts the volume at 15.096 A^3/atom.

***

[3]
Entry from Alexandria via LeMat-Bulk: an optimized crystal structure of CoRe2Ru (PBE-GGA).
+++

Such ungodly thoughts, however, simply cannot enter our minds so long as we are standing at the foot of the cross and looking up at God. It is impossible to look upon God as He hangs on the cross and say, “How can you be so evil as to condemn people to hell?” This accusation is unthinkable for the simple reason that you are accusing the very One who is giving His very life to rescue the world from death and hell! Such an accusation can only make sense as long as we are thinking about some other God out there who is not Jesus on the cross or, at least, not fully Him.

This is the reason why the Apostle Paul was determined to know and speak about nothing other than Jesus Christ and Him crucified (1 Corinthians 2:2). Only in Jesus—and, most especially, Jesus on the cross—does God reveal Himself fully and truly. Jesus on the cross is not only one face of God among many. This is not one way of seeing God among a number of possible alternatives; rather, “Truly, this Man is the Son of God” (Mark 15:39).

We are quickly approaching the observations of Holy Week and Easter (March 28-April 4). These are the most important and oldest celebrations in the Christian calendar. They focus our attention on the main point of the Bible narrative: that Jesus, the God who became a man, came down from heaven in order to suffer and die and rise for you. Keep your eyes fixed on Him and you will know the One True God.

[These calculated crystals were left in the piece by mistake]
/*
The following is a PBE calculation of a relaxed structure of Ca2TaCrFe, from Alexandria.

Cell: 5.4795 5.4795 3.9819 Å, 90.00 90.00 90.00°
With the nearest neighbours (Å) after each atom.
Positions (direct):
Ca (0.0000, 0.5000, 0.0000)  2 Cr 2.74
Ca (0.5000, 0.0000, 0.0000)  2 Cr 2.74
Ta (0.0000, 0.0000, 0.5000)  8 Ca 3.39
Cr (0.5000, 0.5000, 0.0000)  2 Fe 1.99
Fe (0.5000, 0.5000, 0.5000)  2 Cr 1.99

Properties
raw total energy	-5.28	eV/atom
D(E_F)	1.586	states/eV/atom

=====

[1]
Material: MgSc5Cd3
Method: DFT, GGA-PBE
State: relaxed

Cell: 8.7046 8.7046 6.2425 Å, 90.00 90.00 120.00°
Space group P6_3/mcm (No. 193)
Asymmetric unit:
1 Mg 0.0000 0.0000 0.0000 [2 per cell]
2 Sc 0.0000 0.3223 0.2500 [6 per cell]
3 Sc 0.3333 0.6667 0.0000 [4 per cell]
4 Cd 0.0000 0.3467 0.7500 [6 per cell]

[2]
Material: Cr5Ni4
Method: DFT, GGA-PBE
State: relaxed

Summary:
energy above the most stable polymorph in this dataset = 0.079 eV per atom

Cell: 6.9657 6.9657 4.9364 Å, 90.00 90.00 120.00°
Space group P6_3/mcm (No. 193)
Asymmetric unit:
1 Cr 0.0000 0.3477 0.2500 [6 per cell]
2 Cr 0.3333 0.6667 0.0000 [4 per cell]
3 Ni 0.0000 0.0000 0.0000 [2 per cell]
4 Ni 0.0000 0.3207 0.7500 [6 per cell]

[3]
Material: MnCrAs2
Method: DFT, GGA-PBE
State: relaxed

Summary:
energy above the most stable polymorph in this dataset = 0.119 eV per atom

Cell: 2.850 2.850 7.469 Å, 90.00 90.00 90.00°
Space group P4mm (No. 99)
Asymmetric unit:
1 Mn 0.000 0.000 0.000 [1 per cell]
2 Cr 0.500 0.500 0.814 [1 per cell]
3 As 0.000 0.000 0.597 [1 per cell]
4 As 0.500 0.500 0.202 [1 per cell]

[4]
Material: HgSb
Method: DFT, GGA-PBE
State: relaxed

Summary:
E_form (uncorrected) = 150.3 meV/atom
energy above the most stable polymorph in this dataset = 0.121 eV per atom

Cell: 6.014 10.437 15.505 Å, 90.00 90.00 90.00°
Space group Fddd (No. 70, origin choice 2)
Asymmetric unit:
1 Hg 0.125 0.271 0.125 [16 per cell]
2 Sb 0.125 0.125 0.522 [16 per cell]

[5]
Material: Tl2Pd4Pb3
Method: DFT, GGA-PBE
State: relaxed

Cell: 10.630 4.039 9.628 Å, 90.00 93.81 90.00°
Space group C2/m (No. 12)
Asymmetric unit:
1 Tl 0.168 0.000 0.284 [4 per cell]
2 Pd 0.111 0.500 0.087 [4 per cell]
3 Pd 0.183 0.000 0.584 [4 per cell]
4 Pb 0.000 0.500 0.500 [2 per cell]
5 Pb 0.114 0.000 0.876 [4 per cell]

[6]
Material: CrCuNi3
Method: DFT, GGA-PBE
State: relaxed

Summary:
energy above the most stable polymorph in this dataset = 1.132 eV per atom

Cell: 4.208 4.208 4.208 Å, 90.00 90.00 90.00°
Space group Pm-3m (No. 221)
Asymmetric unit:
1 Cr 0.000 0.000 0.000 [1 per cell]
2 Cu 0.500 0.500 0.500 [1 per cell]
3 Ni 0.000 0.000 0.500 [3 per cell]

[7]
Material: ThZr2Ni
Method: DFT, GGA-PBE
State: relaxed

Summary:
energy above the most stable polymorph in this dataset = 0.052 eV per atom

Cell: 3.328 3.328 7.912 Å, 90.00 90.00 90.00°
Space group P4/mmm (No. 123)
Asymmetric unit:
1 Th 0.000 0.000 0.000 [1 per cell]
2 Zr 0.500 0.500 0.305 [2 per cell]
3 Ni 0.000 0.000 0.500 [1 per cell]

[8]
Material: BaPtAu
Method: DFT, GGA-PBE
*/

I invite you, this season, to come and hear the very center of the Bible’s message. Have your attention once more focused on Jesus Christ and Him crucified. Here you see the One True God for who He is and what He is truly like. Here you will truly gaze upon the glory of God and be given Life in His name (John 20:31).